Hair Transplantation Frequently Asked Questions

Records of molecules that have nothing to do with the article
~~~
(1)
Density functional theory data (ωB97M-V/def2-TZVPD) for a cluster of 2 separate species, C9H10N4 in total.

Properties
* calculated total energy: -567.86287 hartree
* charge: 0
* 2S+1: 1
* ΔE to the lowest compared entry with this formula, charge and spin: 88.4 kcal per mole
* LUMO: 0.889 eV

Geometry as XYZ:
```
23
C9H10N4 ωB97M-V/def2-TZVPD
C -1.42 2.73 0.34
N -0.88 1.65 0.69
C -0.87 0.44 -0.08
C -0.39 0.35 -1.39
C -0.23 -0.80 -2.09
C -0.60 -1.98 -1.44
C -1.36 -1.85 -0.23
C -1.39 -0.69 0.50
H -2.12 2.82 -0.53
H -1.35 3.70 0.85
H 0.16 1.25 -1.69
H 0.39 -0.81 -2.95
H -0.44 -2.90 -1.95
H -2.03 -2.56 0.20
H -2.03 -0.56 1.35
C 2.17 -0.05 0.02
C 1.73 -0.86 1.07
N 1.55 0.06 2.08
N 1.63 1.28 1.61
N 2.15 1.21 0.43
H 2.38 -0.43 -0.99
H 1.69 -1.95 1.26
H 1.27 -0.02 2.97
```

Results of the Löwdin charge analysis, in e, for atoms 1 through 6:
1. C -0.026
2. N 0.031
3. C -0.308
4. C -0.081
5. C -0.112
6. C -0.061

(2)
Density functional theory data (ωB97M-V/def2-TZVPD) for the molecule C9H10N4O2.

Properties
* calculated total energy: -718.34596 hartree
* charge: 0
* 2S+1: 1
* ΔE to the lowest compared entry with this formula, charge and spin: 65.3 kcal per mole
* LUMO: 0.555 eV

Geometry as XYZ:
```
25
C9H10N4O2 ωB97M-V/def2-TZVPD
O -3.16 -2.24 -0.51
C -3.40 -0.89 -0.29
C -2.81 -0.46 0.95
O -1.41 -0.19 0.96
C -0.93 0.83 0.24
N -1.51 2.00 0.17
N -0.56 2.81 -0.46
N 0.44 2.18 -0.76
N 0.26 0.86 -0.41
C 1.38 0.12 -0.23
C 2.51 0.66 0.38
C 3.73 -0.07 0.52
C 3.73 -1.44 0.24
C 2.57 -1.92 -0.40
C 1.38 -1.28 -0.52
H -3.99 -2.81 -0.46
H -2.93 -0.39 -1.19
H -4.50 -0.63 -0.15
H -2.98 -1.29 1.69
H -3.22 0.57 1.27
H 2.58 1.82 0.59
H 4.52 0.53 1.03
H 4.67 -1.91 0.27
H 2.44 -2.95 -0.68
H 0.59 -1.79 -1.00
```

Results of the Löwdin charge analysis, in e, for atoms 1 through 6:
1. O -0.074
2. C -0.301
3. C -0.197
4. O 0.011
5. C -0.390
6. N 0.115

(3)
Density functional theory data (ωB97M-V/def2-TZVPD) for the molecule C9H10O3.

Properties
* calculated total energy: -574.60601 hartree
* charge: 0
* 2S+1: 1
* ΔE to the lowest compared entry with this formula, charge and spin: 50.2 kcal per mole
* LUMO: 0.264 eV

Geometry as XYZ:
```
22
C9H10O3 ωB97M-V/def2-TZVPD
C -3.64 -0.57 0.04
O -2.44 -1.37 0.03
C -1.27 -0.71 -0.03
C -1.18 0.70 -0.14
C 0.08 1.28 -0.15
C 0.07 2.70 -0.06
O 1.01 3.41 0.11
C 1.25 0.57 -0.17
C 1.20 -0.84 -0.06
O 2.32 -1.68 -0.17
C 3.58 -1.16 0.15
C -0.05 -1.42 0.01
H -3.72 -0.02 1.04
H -4.55 -1.14 -0.06
H -3.60 0.16 -0.81
H -2.03 1.31 -0.17
H -0.91 3.21 -0.03
H 2.12 1.27 -0.07
H 3.64 -0.42 0.93
H 4.16 -2.06 0.27
H 4.06 -0.72 -0.73
H -0.11 -2.48 0.06
```

Results of the Löwdin charge analysis, in e, for atoms 1 through 6:
1. C -0.065
2. O -0.075
3. C -0.240
4. C 0.025
5. C -0.224
6. C -0.266

Asked for gap between HOMO and LUMO across the records above, the calculation gives 9.18; 9.96; 9.08 eV in order.
~~~
Back to the article

A Hair Transplant is a big decision for anyone, and before getting it done there are many questions that come to mind. People look for answers on the internet, but the internet is full of unverified facts and myths about Hair Transplants. So, getting the right answers to your questions about Hair Transplants becomes a bit tricky. Here we have tried to answer the questions which are asked most frequently before a Hair Transplant.
Who is a good candidate for hair transplant surgery?
A hair transplant is the best way to get back your natural look and hairline. A good candidate for transplant surgery is one who has healthy hair growth in the donor area, i.e., the back side of the scalp. Additionally, men and women suffering from baldness and hair thinning can choose hair transplants procedure to cure hair loss and look for a permanent solution.
Age or gender is not a limitation of the hair transplant technique. Anyone with hair loss from scarring, scalp injuries, cosmetic surgery procedures, or anyone who had prior hair restoration and hasn’t received desired results can select it. But in DHI we suggest ages above 20+ will opt for a hair transplant procedure. At DHI, patients at the age of 60-70 have had successful procedures. We have helped more than 300,000 people around the globe regain their smiles with our precise DHI technique.
How is the hair transplant procedure performed?
A hair transplant procedure at DHI clinics is followed by a scalp diagnosis. Experienced surgeons analyze hair loss conditions while focusing on desired results and the person’s medical history. Based on that, the hair transplant plan is customized for each candidate, and the number of grafts required to offer the desired results is calculated. The entire procedure is performed following three steps:
- Extraction: Hair follicles are extracted from the donor site one by one using disposable patent tools. The extracted hair follicles are then stored in the special solution at a defined temperature to keep them in the active state and enhance their development after placement.
- Implantation: Each extracted hair follicle is directly implanted into the bald area using patent tools, i.e., the DHI implanter. This tool ensures the creation of no holes or slits.
- Natural Results: DHI implanters ensure full control of angle, direction, and depth during the entire procedure, which helps DHI surgeons to offer 100% natural results and maximum viability. The implanted hair will grow naturally for a lifetime and will not fall out.
Who will perform the hair transplant procedure?
In most clinics, procedures are performed by technicians who may or may not have any medical training. The doctor who books your session mostly acts as a salesman and would be present in the procedure room only for a few minutes to give you the impression that procedures are being performed by him, or under his supervision. The bigger the doctor, the more you face this problem, as senior doctors don’t like to do laborious procedures.
At DHI, the entire procedure, end to end, is performed by qualified surgeons who have been extensively trained in the science & art of hair transplants and have gained tremendous experience even before touching their first hair transplant patient independently.

How much time is involved in a hair transplant procedure?
A hair transplant is a surgical procedure, and the time taken for transplant depends on an individual-to-individual basis, as the requirement might differ. But before considering the time required, correct diagnosis is important. DHI International Medical Group believes diagnosing hair loss is better than treating it permanently. With this goal in mind, the Unique Diagnostic System for Alopecia (UDSA) was created, a highly sophisticated hair loss diagnostic system. The main aim of this procedure is to curate a customized hair loss treatment plan that is exclusively designed for you based on your medical history, blood tests, and scalp scan.
This allows the DHI surgeons to customize the whole surgery and decide on the number of grafts required (insert link) to be implanted to offer the desired results. The entire time of the hair transplant surgery depends on the number of grafts to be extracted and then transplanted. The complete hair transplant procedure extraction and then implantation takes 4-7 hrs average time depending on the average requirements of the patient, including lunch break and visible results might rake 6-12 months, might vary from case to case. Most candidates can achieve a full and natural look with a minimum of hair transplant procedures, i.e., one to two sittings of three to four hours each.
Will I get guaranteed natural results with the number of hairs promised?
You may be surprised to know that the industry average for graft survival is only 50%, as against the DHI techniques verified 90% (10% of hairs are always in the anagen phase). There are several reasons for this. Most clinics do not implant the number of hairs that they promised, and it is impossible to verify this. The clinic typically stores the extracted hair in a heap as shown in the picture below which makes it impossible for you to count the number of hairs, as opposed to DHI where every single graft is neatly placed in a tray and the number of grafts can be mathematically verified. Please see the picture below.

The extracted hair needs to be properly hydrated with a special solution when they are out of the body, for its survival. Since the extracted grafts are kept in a heap by other clinics most of these grafts are not hydrated properly and therefore do not survive even before they are implanted. At DHI each graft is laid separately in a tray and properly hydrated. Keeping the grafts in a heap makes it impossible to plan a proper aesthetic distribution of grafts, leading to unnatural results.
The implantations in almost all the clinics are done by using the old slit & insert method which is a two-step procedure and the surgeon does not have control over the angle, depth, and direction of the implanted hairs. At DHI, we follow a one-step direct implantation technique with DHI’s implanters, which allows perfect control of the angle, depth, and direction of implanted hairs, giving natural and beautiful results every time. DHI holds patents in the US and European Union for implanter design and Direct Implantation Techniques.

While thinking of the cost please consider the impact of 50% v/s 100% growth. Even if you pay half at other clinics, the ultimate cost to you is much higher for a sub-standard service and result.
Will the transplanted hair eventually fall out?
It is perfectly normal to notice the shedding of transplanted hair for 2-3 months after the procedure. New hair will take the place of fallen hair after a few days.
The healing process after a hair transplant can take between 6 to 12 months. After that, the transplanted hair will start growing at an average pace.
In a DHI Hair Transplant, only healthy hair follicles, excluding hair in the telogen phase, are chosen and grafted from the donor area to the balding area. This allows them to grow naturally and permanently. The DHI-trained and certified medical doctors follow strict protocols and precise techniques that allow them to ensure maximum viability rate.
Is the procedure painless? How fast can I get back to work?
You can get back to work almost the same day after the DHI hair transplant, provided there is no strenuous physical activity involved. Please see below typical pictures of extraction and implantation immediately after the DHI procedure.

At other clinics, even though they follow the FUE technique for extraction, unfortunately, the typical result looks like this, and recovery can take days.

What results to expect from hair transplant surgery?
Hair Transplantation surgery gives natural-looking results permanently when done by a trained and experienced surgeon. Though this procedure offers hair growth for a lifetime, at times hair transplant doesn’t give the desired result as most clinics do not follow the protocols which are required in a hair transplant procedure.
DHI technique gives complete control of Angle, Depth, and Direction. At DHI the entire procedure is performed by highly trained surgeons to ensure 100% natural results and a more than 90% graft viability rate. Approximately within 90 to 100 days, new hair will grow and continue to grow at a natural pace. The natural appearance of the transplanted hair will begin within six to nine months of the surgery.
Are there any complications from the hair transplant procedure?
The Hair Transplant treatment is a surgical procedure. However, in this permanent hair loss treatment, complications post and during surgery are rare and generally nothing. But like any other surgical procedure, a hair transplant also involves some risk if not done by an expert surgeon or non-certified surgeon or performed by a technician or nurse at a clinic with compromised infrastructure. If the doctors/clinic not followed safety and hygiene protocols during surgery, and the instruments used in the surgery are not single-used. Proper care is required after undergoing a hair transplant. If you do not care for the treated and donor area, it could cause complications such as bacterial infection, folliculitis infection, etc. In such cases, ensure to contact your surgeon for further guidance immediately.
At DHI, well-defined medical SOPs are followed for every hair transplant surgery at each hair transplant clinic. The entire procedure at any DHI clinic is done solely by a trained surgeon which eliminates the chance of any complications.
Is male-pattern or female-pattern baldness common? Why am I suffering from it?
Hair loss is very common among both males and females. Everyone loses approximately 50 to 150 hair per day, but they grow back. If hair follicles are thinned, and re-growth stops, it can lead to hair loss. Other factors such as hormones, natural aging, lifestyle change, and more can cause hair loss. You must consult a hair specialist when you notice an unreal hair fall. It will allow you to find the best solution at the right time.
The female baldness pattern is very different from the male, and hence the requirements of a female hair transplant are different from a male hair transplant. At DHI a complete diagnosis is done before customizing the hair transplant procedure recommendation.
Is a hair transplant painful?
Being a surgical procedure, a Hair Transplant patient might experience some pain if the transplant is done by any technique other than DHITM – Direct Hair Implantation hair transplant technique. The DHITM (Direct Hair Implantation) is a virtually painless technique for hair transplant procedures as it is the most advanced technique in the hair restoration industry. DHI procedure is performed by experienced surgeons using local anesthesia and it eliminates the discomfort and pain during the procedure. The surgeons at DHI use patented tools to perform the surgery to ensure 100% results, with no pain, scars, or stitches.
Will I be able to play sports or swim immediately after a hair transplant?
It is advised to avoid any kind of strenuous physical activity like sports or swimming for at least two weeks after the transplant surgery. But the hair transplant procedure performed by the DHITM technique is having no downtime, which means patients will go to their daily routine activities after 1-2 days once the bandage is removed from the donor area. However, heavy exercises and scalp exposure to direct sun and rain should be avoided as this can cause complications in the results of a hair transplant treatment. You must always consult your surgeon for more details.
What happens after the surgery?
- Transplanted hair starts growing naturally three to four months after the procedure, and the full results of the surgery can take around a year to show.
- Some candidates may notice some redness, crusting, swelling, or tiny scabs on the donor or impacted sites; this is natural and will vanish within a week. Do follow all the post-surgery instructions as given by the surgeon and the clinic.
- Some transplanted hair might fall out after the surgery, but the hair follicles will remain, and new hair will grow back within a month.
- Most patients can return to work within 24 to 48 hours of the DHI transplant.
- Physical activities, such as sports, swimming, and exercising, should be avoided for at least fifteen days after the surgery.
- All the medications and instructions provided by hair transplant specialists should be followed to minimize side effects.
- Any numbness in the donor or the treated area will disappear with time.
Visit your hair transplant surgeon at the decided period of time to get updates on your progress and results.
What precautions should be taken pre-and post-hair transplant surgery?
Pre-hair transplant surgery:
- Avoid consumption of vitamins, aspirin, alcohol, and smoking one week prior to the surgery.
- Follow the DHI TCC (Total Care Consultant) instructions if you are suffering from high blood pressure or diabetes.
Post-hair transplant surgery:
- Consume prescribed antibiotics and anti-inflammatories for a few days after the surgery, as prescribed by the surgeon.
- Heavy exercises, swimming, and scalp exposure to the direct sun should be avoided for fifteen days after the surgery. Light exercise or walking can be resumed a week post-surgery.
Is any long-term medication required post-surgery?
No long-term medications are required after the surgery as the implanted hair will grow naturally and permanently. However, to avoid thinning and falling of existing hair, doctors may suggest the application of minoxidil.
What is the success rate of the hair transplant?
The success rate of a hair transplant depends on the natural result. DHI clinics focus on the three very important aspects of hair transplant i.e., design, direction, and density to ensure natural results. DHI surgeons use patented and precise instruments throughout the procedure that helps them offer a high success rate of the transplant and 100% natural-looking result every time.
Does transplanted hair look natural?
Yes, the transplanted hair will look 100% natural if done by a trained and experienced surgeon. DHI Hair Transplant is performed by trained doctors from start to end, following global standard SOPs. It ensures that the transplanted hair is undetectable and grows naturally. It is impossible to identify the difference between natural and transplanted hair once they achieve natural growth.
What safety and Quality Assurance protocols are followed by the clinics?
A hair transplant is a virtually risk-free procedure as it is minimally invasive. However, due to old-fashioned techniques followed by some clinics and the absence of any medical/safety protocols in writing, even this relatively harmless procedure can become dangerous. The doctors and assistances in many clinics are not properly trained on the use of local anaesthesia, durations of procedure, managing contraindications, and all this can be risky at times for the patients.
Every clinic of DHI follows very strict safety and medical protocols as per standard operating procedures running into hundreds of pages. These SOPs are accredited by UK’s Care Quality Commission which sets the patient safety standards in London. At DHI, every procedure goes through a quality assurance check by Medical Director.
In most clinics, the instruments for hair transplants are reused after sterilization. This creates uncertainty about the sterile nature of the instruments since you are dependent on the perfection of the sterilization process. This can lead to complications including serious infections. At DHI all the instruments (excluding tools) are single-use only.
Is hair styling after a hair transplant advisable?
Hair styling should be avoided for at least a year post-hair transplant. After the surgery, transplanted hair grows slowly. Hair styling products, such as sprays, gels, and mousses, are harsh and can create barriers to the growth of transplanted hair. Also, hair dyes should be avoided till the hair grows properly. You can consult your hair specialist for further guidance.
Is there any special training required for performing a hair transplant?
Hair transplant candidates should always prefer surgeons with appropriate training and experience to ensure the best results. Many doctors claim to perform hair transplant surgery, but only a few have proper training and experience in the field. It is advisable to avoid them and research well before getting a transplant done.
At DHI India, only doctors trained in DHI Total Care System and certified by DHI International Hair Restoration Academy perform hair transplant surgery. They use DHI-specialised techniques and patent tools to ensure the right depth, angle, and direction of hair grafts and offer 100% satisfactory results. It makes them the best hair transplant doctors in India.
What is the cost of a hair transplant?
Like other cosmetic surgeries, hair transplants can sometimes be expensive. By spending that amount, you can achieve permanent and natural hair growth, which is priceless. Whenever you spend your hard-earned money on a hair transplant, ensure that the clinic doesn’t take any shortcuts, as it can impact the overall result. You should also consider other factors, such as who performs the surgery, artistic skills, the experience of the surgeons, safety and hygiene protocols followed by the clinic, the number of grafts required to get desired results, and instruments involved in the surgery.
DHI clinics set the gold standard for quality, experience, density, natural results, safety, and technology. At DHI the hair transplant procedure is customized for each candidate, making it unique. That’s why it is advisable to meet a DHI hair restoration expert at the DHI clinic near you to find out the cost of the surgery.
What technology do DHI clinics follow?
DHI clinics follow the most advanced hair transplant technique in Hair Transplant industry. i.e., DHITM– Direct hair implantation technique. Direct Hair Implantation is pioneered by DHI and is only offered at DHI clinics. The entire procedure is performed following the patented methodology, with patented DHI implanter and single-use instruments. The standard operating procedures (SOPs) are followed globally at each DHI clinic to guarantee 100% safety.
Why is proper diagnosis important before a hair transplant?
Successful treatment depends on proper diagnosis. A diagnosis before a hair transplant helps hair transplant doctors to understand your requirements, the condition of your scalp, and the reason for hair loss. At DHI, the unique diagnostic system for Alopecia, i.e., the unique diagnostic alopecia test (UDSA), is followed. It is a dermatological examination that allows DHI doctors to identify the alopecia type and prevailing conditions. It assesses the magnitude of the problem and the amount of hair available for exportation. Additionally, DNA analysis and stress analysis are performed under it.
For further hair transplant-related questions, book your hair transplant consultation online and avail 50% OFF on consultation fees with hair transplant experts at DHI.